How To Lose Belly Fat ? 7 Ways to Lose Belly Fat Fast

How To Lose Belly Fat?: Your belly needs to be extra toned to give you those great looks. even if you have a slim body shape, your stomach can behave out of the way. If you are looking forward to some methods to get rid of accumulated fat in your belly, here are certain tips… Continue reading How To Lose Belly Fat ? 7 Ways to Lose Belly Fat Fast

Vitamin B Supplements – Benefits The importance of Nutrition

-- Unrelated to this piece: calculated crystals --
~~~
Entry 1:
## Cs8K6O (PBE)

Data for a relaxed structure of Cs8K6O.

Space-group type: R-3
Crystal system: trigonal

abc: 11.1639 11.1639 11.1639
angles: 71.86 71.86 71.86
Closest atoms and distances in Å follow each position.
Fractional coordinates of all 15 atoms:
1 Cs 0.0950 0.7276 0.9703  1 O 2.98
2 Cs 0.0297 0.9050 0.2724  1 O 2.98
3 Cs 0.2724 0.0297 0.9050  1 O 2.98
4 Cs 0.7360 0.7360 0.7360  6 K 4.84-4.93, 6 Cs 5.32-5.39
5 Cs 0.2640 0.2640 0.2640  6 K 4.84-4.93, 6 Cs 5.32-5.39
6 Cs 0.7276 0.9703 0.0950  1 O 2.98
7 Cs 0.9703 0.0950 0.7276  1 O 2.98
8 Cs 0.9050 0.2724 0.0297  1 O 2.98
9 K 0.1870 0.4963 0.5923  4 K 4.61-4.81, 3 Cs 4.84-5.04
10 K 0.4077 0.8130 0.5037  4 K 4.61-4.81, 3 Cs 4.84-5.04
11 K 0.5037 0.4077 0.8130  4 K 4.61-4.81, 3 Cs 4.84-5.04
12 K 0.4963 0.5923 0.1870  4 K 4.61-4.81, 3 Cs 4.84-5.04
13 K 0.5923 0.1870 0.4963  4 K 4.61-4.81, 3 Cs 4.84-5.04
14 K 0.8130 0.5037 0.4077  4 K 4.61-4.81, 3 Cs 4.84-5.04
15 O 0.0000 0.0000 0.0000  6 Cs 2.98

---

Entry 2:
## Cs4K6O (PBE)

Data for a relaxed structure of Cs4K6O.

Space-group type: P6_3mc
Crystal system: hexagonal

abc: 9.2555 14.7922 14.7921
angles: 120.00 90.00 90.00
Closest atoms and distances in Å follow each position.
Fractional coordinates of all 22 atoms:
1 Cs 0.4867 0.3333 0.6667  1 O 2.64
2 Cs 0.9867 0.6667 0.3333  1 O 2.64
3 Cs 0.8478 0.5359 0.7680  1 O 2.69
4 Cs 0.8478 0.2320 0.4641  1 O 2.69
5 Cs 0.8478 0.2320 0.7680  1 O 2.69
6 Cs 0.3478 0.4641 0.2320  1 O 2.69
7 Cs 0.3478 0.7680 0.5359  1 O 2.69
8 Cs 0.3478 0.7680 0.2320  1 O 2.69
9 K 0.3597 0.7704 0.8852  8 K 5.09-5.48, 4 Cs 5.15-5.61
10 K 0.3597 0.1148 0.2296  8 K 5.09-5.48, 4 Cs 5.15-5.61
11 K 0.3597 0.1148 0.8852  8 K 5.09-5.48, 4 Cs 5.15-5.61
12 K 0.8597 0.2296 0.1148  8 K 5.09-5.48, 4 Cs 5.15-5.61
13 K 0.8597 0.8852 0.7704  8 K 5.09-5.48, 4 Cs 5.15-5.61
14 K 0.8597 0.8852 0.1148  8 K 5.09-5.48, 4 Cs 5.15-5.61
15 K 0.7038 0.9479 0.4739  5 Cs 4.45-4.61, 2 K 4.82, 1 O 4.98
16 K 0.7038 0.5261 0.0521  5 Cs 4.45-4.61, 2 K 4.82, 1 O 4.98
17 K 0.7038 0.5261 0.4739  5 Cs 4.45-4.61, 2 K 4.82, 1 O 4.98
18 K 0.2038 0.0521 0.5261  5 Cs 4.45-4.61, 2 K 4.82, 1 O 4.98
19 K 0.2038 0.4739 0.9479  5 Cs 4.45-4.61, 2 K 4.82, 1 O 4.98
20 K 0.2038 0.4739 0.5261  5 Cs 4.45-4.61, 2 K 4.82, 1 O 4.98
21 O 0.7716 0.3333 0.6667  4 Cs 2.64-2.69
22 O 0.2716 0.6667 0.3333  4 Cs 2.64-2.69

---

Calculated ΔE_f (raw) (meV/atom), listed in the same order as above: -203 -225


## YBiF3 (PBE)

Data for an optimized crystal structure of YBiF3.

a = 4.7673 Å, b = 4.7673 Å, c = 4.7673 Å
α = 90.00°, β = 90.00°, γ = 90.00°
Space group Pm-3m (No. 221)
Unique sites:
1 Y 0.0000 0.0000 0.0000 (multiplicity 1)
2 Bi 0.5000 0.5000 0.5000 (multiplicity 1)
3 F 0.0000 0.5000 0.5000 (multiplicity 3)

Output
crystal system	cubic
DFT total energy	-4.649	eV/atom
N(E_F)	4.48	states/eV/f.u.


Compound: ScCrC2
Source: Alexandria
Functional: PBE
Structure: optimized geometry

Fermi-level density of states in states/eV per cell: 2.3
~~~

Vitamin B Supplements: It is very essential to supply different varieties of vitamins for the body organs to work well. The importance of Nutrition is only realised when the body is facing shortage of it. Vitamin B is one of the most important elements to keep the cell growth going and maintain good eyesight. Apart… Continue reading Vitamin B Supplements – Benefits The importance of Nutrition

7 Thing You Should Know This Before You Fast

No doubt fasting can help us to get rid of the sins and excess body weight fat at the same time. But did you know that it can also expose your body to a couple of unwanted things? Before trying to manipulate the natural system of the body, you should first learn things in detail.… Continue reading 7 Thing You Should Know This Before You Fast

4 Side Effects of To Much Apple Cider Vinegar

4 Side Effects of To Much Apple Cider Vinegar: No doubt apple cider vinegar is miraculously beneficial but excess of anything is bad and that applies to Apple Cider Vinegar as well. Having it in excess can damage the enamel and can also induce discomfort. Apart from everything else, it can lead to certain medical… Continue reading 4 Side Effects of To Much Apple Cider Vinegar

How To Naturally Fight With Body Heat?

It is hard to believe but excess levels of the body heat can disturb its normal functioning. It can result in a lot of hair fall apart from creating constant discomfort. The moment your temperature increases more than the permissible limit, it ends up creating some of the Other kinds of abnormalities. Body Heat It… Continue reading How To Naturally Fight With Body Heat?

Vitamin E Supplements – Benefits About E Supplies

Nowadays, people look forward to boosting their communities by any means. Vitamin E Supplements are a great source of boosting immunity as they help different body organs to work better. What Are Vitamin E Supplements Similarly, vitamin E is associated with various benefits that includes boosting vision and digestion. Vitamin E can be obtained from… Continue reading Vitamin E Supplements – Benefits About E Supplies